Monday, March 1, 2010

My Wonderful Husbandy :)

I tried a few times to get a blog together yesterday with pictures and videos but was having technical difficulty. So I will work on that and hopefully get one up soon. But I did not want to wait longer to share what my wonderful Husband did for our anniversary last week. It was our 6 year anniversary and we really had not planned anything because we went out and celebrated it when my parents were in town a couple of weeks before and we had set up to have a friend watch Jake about a week after. But Ryan had some other secret plans. I knew there was some sort of surprise but he would not tell me what it was. Of course he told Jake that morning but I guess he figured an 11 month old would not tell anyone. ;) But after church he looked at Jake and said, "lets take Mommy to her surprise." So we drove to a park near our home and Ryan got out and proceeded to take out an awesome picnic lunch and a blanket....even Jake's little booster chair. It was soooooooooooooooo sweet. We had a wonderful time and we had never gone on a picnic together before, that was not with a big group of people. So it was so romantic and wonderful. Little Jake even seemed to enjoy himself as he amazingly stayed on the blanket and enjoyed attacking the Rubbermaid of crackers that Ryan packed. So cute to see him sit there and munch away. But it was the most amazing day and I love you so much Sweet Boy for making such an amazing surprise for me. :D I love you very much

So then this last Saturday our wonderful friend Katie watched Jake so we could go out. And it was so nice. We had a wonderful dinner at Chili's and then just had fun running a couple or errands the two of us. And hey I don't care what you say....holding hands as you walk into Wal-Mart without a child throwing things out of the cart is very romantic. :) Such a nice evening and nice to have those times just the two of us.

-- Next to the piece, the page also holds calculated crystals --
____________
Record 1
## Pm6DyHo2Sc (PBE-GGA)

Data for an optimized crystal structure of Pm6DyHo2Sc.

The structure in extended XYZ format:
```
20
Lattice="-8.463 -1.175 3.934 -3.180 -0.582 -8.278 3.313 -7.391 3.657" Properties=species:S:1:pos:R:3 pbc="T T T"
Pm -1.626 -7.154 3.038
Pm -6.703 -1.993 -3.726
Pm -7.182 -5.531 -3.456
Pm -1.147 -3.617 2.768
Pm -0.127 -7.904 -0.233
Pm -1.599 -4.151 -3.647
Pm 1.713 -5.793 1.998
Pm -4.389 -6.250 0.971
Pm -10.042 -3.354 -2.686
Pm -8.202 -1.243 -0.455
Pm -3.940 -2.897 -1.658
Pm -6.730 -4.997 2.959
Dy -5.127 -1.053 -6.985
Dy -3.203 -8.095 6.297
Ho -4.047 -6.141 -2.258
Ho -4.283 -3.007 1.571
Ho -0.693 -1.746 -1.576
Ho -7.637 -7.401 0.888
Sc -1.526 -4.828 -0.367
Sc -6.803 -4.319 -0.321
```

Values from the calculation:
Its space group is C2/c (15). Its formation energy is 127 meV per atom. The crystal system is monoclinic. The value obtained for the density is 7.14 g/cm³.


Record 2
## TaHg4O2 (PBE-GGA)

Data for an optimized crystal structure of TaHg4O2.

The structure in extended XYZ format:
```
7
Lattice="5.416 0.000 0.000 0.000 5.416 0.000 2.708 2.708 6.107" Properties=species:S:1:pos:R:3 pbc="T T T"
Hg 0.000 2.708 0.000
Hg 2.708 2.708 3.379
Hg 2.708 0.000 0.000
Hg 5.416 5.416 2.728
Ta 0.000 0.000 0.000
O 2.708 2.708 1.319
O 5.416 5.416 4.788
```

Values from the calculation:
Its space group is I4/mmm (139). The crystal system is tetragonal. The value obtained for the density is 9.41 g/cm³. The uncorrected formation energy comes out at 0.6969 eV/atom.


Record 3
## NaTiO3 (PBE-GGA)

Data for an optimized crystal structure of NaTiO3.

The structure in extended XYZ format:
```
5
Lattice="-1.667 -2.312 2.523 1.737 -2.990 -1.591 2.948 0.455 2.364" Properties=species:S:1:pos:R:3 pbc="T T T"
Ti 1.509 -2.423 1.648
Na 0.000 0.000 0.000
O 1.474 0.227 1.182
O -0.834 -1.156 1.261
O 0.869 -1.495 -0.796
```

Values from the calculation:
Its space group is Pm-3m (221). The crystal system is cubic. The value obtained for the density is 3.58 g/cm³. The uncorrected formation energy comes out at -0.1069 eV/atom.


Number 1: V 32.7 A^3/atom. Number 2: V 25.6 A^3/atom. Number 3: V 11.0 A^3/atom.
____________


  1. Married 6 years and dating before that, and you'd NEVER been on a picnic together?! I'm glad another 6 years didn't pass before you discovered that simple pleasure. That was our 6 month-anniversary of dating date, and has been a repeat favorite of ours.
    And yes, holding hands in a store is romantic, but Walmart will NEVER be romantic!

  2. that is so sweet! i know, i never comment, but i HAD to today because i cannot tell you how many of our dates end up at walmart! part of that is small-town living, and part of that is it's so nice to go without kids!! we've had lots of fun holding hands at walmart. it can be very romantic. :)

  3. It warms our hearts to know that you guys are still romantic "newlyweds." What a sweet thing to do, Ryan and you too Jake.

    Many more happy anniversaries!!!!!

The text is interrupted by calculated crystals:
/*
Entry 1:
# PBE MnTl2Si, optimized geometry
# Spin magnetization in μB/f.u.: 4.0
# DFT total energy in eV per atom: -4.239
# Formation energy (no corrections) in eV per atom: 0.592
# Energy above the lowest structure with this stoichiometry in eV per formula unit: 1.53
# Mass density in g cm⁻³: 9.3
data_MnTl2Si
_cell_length_a 4.532
_cell_length_b 4.532
_cell_length_c 4.264
_cell_angle_alpha 90.00
_cell_angle_beta 90.00
_cell_angle_gamma 90.00
_symmetry_space_group_name_H-M 'P 4/m m m'
_symmetry_Int_Tables_number 123
_symmetry_space_group_name_Hall '-P 4 2'
loop_
_atom_site_label
_atom_site_fract_x
_atom_site_fract_y
_atom_site_fract_z
Mn1 0.000 0.000 0.000
Tl1 0.000 0.500 0.500
Si1 0.500 0.500 0.000

=====

Entry 2:
# PBE MnTl2Si, optimized geometry
# Spin magnetization in μB/f.u.: 2.9
# DFT total energy in eV per atom: -4.608
# Formation energy (no corrections) in eV per atom: 0.224
# Energy above the lowest structure with this stoichiometry in eV per formula unit: 0.05
# Mass density in g cm⁻³: 9.0
data_MnTl2Si
_cell_length_a 3.287
_cell_length_b 3.287
_cell_length_c 8.412
_cell_angle_alpha 90.00
_cell_angle_beta 90.00
_cell_angle_gamma 90.00
_symmetry_space_group_name_H-M 'P 4 m m'
_symmetry_Int_Tables_number 99
loop_
_symmetry_equiv_pos_as_xyz
'x,y,z'
'-y,x,z'
'-x,-y,z'
'y,-x,z'
'-x,y,z'
'y,x,z'
'x,-y,z'
'-y,-x,z'
loop_
_atom_site_label
_atom_site_fract_x
_atom_site_fract_y
_atom_site_fract_z
Mn1 0.000 0.000 0.000
Tl1 0.000 0.000 0.374
Tl2 0.500 0.500 0.721
Si1 0.500 0.500 0.079

=====

Entry 3:
# PBE MnTl3Si, optimized geometry
# Spin magnetization in μB/f.u.: 4.4
# DFT total energy in eV per atom: -3.518
# Formation energy (no corrections) in eV per atom: 0.820
# Energy above the lowest structure with this stoichiometry in eV per formula unit: 0.25
# Mass density in g cm⁻³: 7.6
data_MnTl3Si
_cell_length_a 5.341
_cell_length_b 5.341
_cell_length_c 5.341
_cell_angle_alpha 90.00
_cell_angle_beta 90.00
_cell_angle_gamma 90.00
_symmetry_space_group_name_H-M 'P m -3 m'
_symmetry_Int_Tables_number 221
_symmetry_space_group_name_Hall '-P 4 2 3'
loop_
_atom_site_label
_atom_site_fract_x
_atom_site_fract_y
_atom_site_fract_z
Mn1 0.000 0.000 0.000
Tl1 0.000 0.500 0.500
Si1 0.500 0.500 0.500

=====

Entry 4:
# PBE MnTl2Si, optimized geometry
# Spin magnetization in μB/f.u.: 0.3
# DFT total energy in eV per atom: -3.725
# Formation energy (no corrections) in eV per atom: 1.106
# Energy above the lowest structure with this stoichiometry in eV per formula unit: 3.58
# Mass density in g cm⁻³: 10.0
data_MnTl2Si
_cell_length_a 6.892
_cell_length_b 6.892
_cell_length_c 6.892
_cell_angle_alpha 90.00
_cell_angle_beta 90.00
_cell_angle_gamma 90.00
_symmetry_space_group_name_H-M 'F m -3 m'
_symmetry_Int_Tables_number 225
_symmetry_space_group_name_Hall '-F 4 2 3'
loop_
_atom_site_label
_atom_site_fract_x
_atom_site_fract_y
_atom_site_fract_z
Mn1 0.000 0.000 0.000
Tl1 0.250 0.250 0.250
Si1 0.000 0.000 0.500

=====

[1]
# KPOsS2, relaxed, DFT PBE
*/

    Mom and Dad
    Eileen and Gary
    Grandma and Grandpa
